I Went to PEI to Catch Up With Old Friends Before I Move

**Inserted here: materials data**
┌──
(1)
Structure and theoretical PXRD pattern of LiZr4Se8 (a structure optimized by DFT (GGA-PBE); Cu Kα, 1.54184 Å).
Neutral-atom scattering factors, no anomalous dispersion.

```
data_LiZr4Se8
_chemical_formula_sum 'Li3 Zr12 Se24'
_cell_length_a 7.5561
_cell_length_b 7.5561
_cell_length_c 20.1520
_cell_angle_alpha 90.00
_cell_angle_beta 90.00
_cell_angle_gamma 120.00
_symmetry_space_group_name_H-M 'R -3 m'
_symmetry_Int_Tables_number 166
_symmetry_space_group_name_Hall '-R 3 2"'
loop_
_atom_site_label
_atom_site_type_symbol
_atom_site_fract_x
_atom_site_fract_y
_atom_site_fract_z
Li1 Li 0.0000 0.0000 0.0000
Zr1 Zr 0.0000 0.0000 0.5000
Zr2 Zr 0.0000 0.5000 0.5000
Se1 Se 0.0000 0.0000 0.2463
Se2 Se 0.0017 0.5009 0.2476
```

Top 12 peaks for 5 to 70 degrees two-theta, sorted by position:
- 13.2°, I 47
- 27.6°, I 19
- 28.7°, I 9
- 32.6°, I 100
- 35.3°, I 8
- 41.8°, I 10
- 45.4°, I 39
- 48.2°, I 33
- 50.2°, I 9
- 54.7°, I 7
- 59.4°, I 17
- 68.4°, I 11

---

(2)
Structure and theoretical PXRD pattern of LiZr2Se4 (a structure optimized by DFT (GGA-PBE); Cu Kα, 1.54184 Å).
Neutral-atom scattering factors, no anomalous dispersion.

```
data_LiZr2Se4
_chemical_formula_sum 'Li4 Zr8 Se16'
_cell_length_a 7.865
_cell_length_b 7.865
_cell_length_c 11.138
_cell_angle_alpha 90.00
_cell_angle_beta 90.00
_cell_angle_gamma 90.00
_symmetry_space_group_name_H-M 'I 41/a m d'
_symmetry_Int_Tables_number 141
loop_
_symmetry_equiv_pos_as_xyz
'x,y,z'
'-x,-y,-z'
'-y+1/4,x+3/4,z+1/4'
'y+1/4,-x+3/4,-z+1/4'
'-x+1/2,-y,z+1/2'
'x+1/2,y,-z+1/2'
'y+1/4,-x+1/4,z+3/4'
'-y+1/4,x+1/4,-z+3/4'
'x,-y,-z'
'-x,y,z'
'-y+1/4,-x+1/4,-z+3/4'
'y+1/4,x+1/4,z+3/4'
'-x+1/2,y,-z+1/2'
'x+1/2,-y,z+1/2'
'y+1/4,x+3/4,-z+1/4'
'-y+1/4,-x+3/4,z+1/4'
'x+1/2,y+1/2,z+1/2'
'-x+1/2,-y+1/2,-z+1/2'
'-y+3/4,x+1/4,z+3/4'
'y+3/4,-x+1/4,-z+3/4'
'-x,-y+1/2,z'
'x,y+1/2,-z'
'y+3/4,-x+3/4,z+1/4'
'-y+3/4,x+3/4,-z+1/4'
'x+1/2,-y+1/2,-z+1/2'
'-x+1/2,y+1/2,z+1/2'
'-y+3/4,-x+3/4,-z+1/4'
'y+3/4,x+3/4,z+1/4'
'-x,y+1/2,-z'
'x,-y+1/2,z'
'y+3/4,x+1/4,-z+3/4'
'-y+3/4,-x+1/4,z+3/4'
loop_
_atom_site_label
_atom_site_type_symbol
_atom_site_fract_x
_atom_site_fract_y
_atom_site_fract_z
Li1 Li 0.000 0.250 0.375
Zr1 Zr 0.000 0.000 0.000
Se1 Se 0.000 0.009 0.755
```

Top 12 peaks for 5 to 70 degrees two-theta, sorted by position:
- 13.8°, I 45
- 26.6°, I 23
- 27.8°, I 14
- 32.2°, I 100
- 35.2°, I 6
- 42.2°, I 13
- 46.1°, I 74
- 48.4°, I 11
- 54.7°, I 6
- 57.4°, I 24
- 59.3°, I 6
- 67.3°, I 8

---

(3)
Structure and theoretical PXRD pattern of LiZr3Se6 (a structure optimized by DFT (GGA-PBE); Cu Kα, 1.54184 Å).
Neutral-atom scattering factors, no anomalous dispersion.

```
data_LiZr3Se6
_chemical_formula_sum 'Li3 Zr9 Se18'
_cell_length_a 6.7306
_cell_length_b 6.7306
_cell_length_c 18.7580
_cell_angle_alpha 90.00
_cell_angle_beta 90.00
_cell_angle_gamma 120.00
_symmetry_space_group_name_H-M 'R 3'
_symmetry_Int_Tables_number 146
_symmetry_space_group_name_Hall 'R 3'
loop_
_atom_site_label
_atom_site_type_symbol
_atom_site_fract_x
└──

I did cross off another item on my days off last week, but I got home late on Thursday - and have been on the late shift at work this week - so I haven't had a chance to blog about it until now.

On Wednesday and Thursday I went to one of my favourite places in the Maritimes, Prince Edward Island, where I lived for four years while in university.

This trip was less of an adventure and more of an opportunity to go visit my friends who live in PEI before I move. As much as I really would love the chance to go and properly explore the parts of the Island that I haven't seen, every time I'm over there I have to take the opportunity to see people that I can't otherwise see. Initially I had only intended on going over for the day, but fortunately I turned it into an overnight visit because I crammed in so many visits with people that I definitely couldn't have done it just in a day.

I left home on Wednesday morning and headed straight to my friend Alicia's house in Cornwall. We went to Casa Mia in Charlottetown for brunch, and then we went to the beach for the afternoon. We had wanted to drive up to Thunder Cove beach, but based on how long it would take to drive there we opted to drive to Tracadie instead so that we could actually enjoy more than like 45 minutes on the beach. I think that was my first actual beach trip of the summer, and the weather was sunnier than forecast so it was a great afternoon.

After the beach, I drove up to Kensington to see my friend Steph, who moved into a new house last year and said I could stay any time I came to visit. Her boyfriend Chad cooked a barbecue and we just had a chill evening catching up and playing with her hyper-but-adorable puppy Sparkles.

On Thursday morning I had agreed to drive Alicia to the oral surgeon because she had to get some teeth extracted and couldn't drive herself home after. Once she was safely home, I went to the Charlottetown Mall for a little bit (because the Urban Planet in there always has the best bargains) and then I met up with my old friend Eric for a coffee in Starbucks.

In the afternoon, I drove around the north shore for a little while before heading back towards the Confederation Bridge. I met my friend James in Borden-Carleton for dinner and then I drove home after we'd eaten.

So, a busy trip but a successful one in that I got to visit everyone I wanted to visit. I absolutely love PEI and it's just a shame there's that damn toll on the bridge otherwise I'd definitely be over there more often. Next fall I'll be back to visit the Island for Alicia's wedding, but until then, thanks for the wonderful memories PEI.

A final trip to PEI: check.

This is Sparkles and she is beautiful
